Grade 3
In Grade 3, we focus on teamwork, cooperative learning, problem solving, and an increasing responsibility for directing one's own actions and learning.
To encourage students to become independent learners, we emphasize:
The development of good work and study habits
The development of organizational skills
Ongoing mastery of increasingly complex skills
The importance of respect and understanding when functioning in a diverse society
It is our hope that every child's interest, curiosity, and creativity will be stimulated by our program, and that each child will develop a true love of learning, along with a willingness to take risks. We try to motivate every child to fulfill their potential.
Curriculum guides
Language arts
Readers Workshop is the model we use for Grade 3 reading instruction. Reader’s Workshop includes whole-group mini-lessons, small groups, and individual conferring with the teacher, with an emphasis on strengthening comprehension skills. In addition, specific strategies used by all proficient readers such as: determining what is important, inferring, using prior knowledge, asking questions, monitoring text comprehension and creating mental images are emphasized throughout the year.
Children in Grade 3 develop their ability to choose "just right" books that match their individual reading skills. In order to select books they can read independently, students are encouraged to choose books that:
Sound like a conversation when read by the student (fluency)
Use familiar words, most of which the student understands (vocabulary)
/*
Entry 1:
AgHgIr2 | GGA-PBE | optimized geometry

Computed properties:
Formation enthalpy at 0 K in eV/atom: 0.432
VASP energy in eV per atom: -4.786
Density in Mg/m³: 16.75
Fermi-level density of states in states/eV/f.u.: 3.68

a = 2.7920 Å, b = 4.9249 Å, c = 9.9886 Å
α = 90.00°, β = 90.00°, γ = 90.00°
With the nearest neighbours (Å) after each atom.
Positions (direct):
Ag 0.0000 0.0000 0.0000  6 Ag 2.79-2.83, 2 Ir 2.84, 2 Hg 3.05
Ag 0.5000 0.5000 0.0000  6 Ag 2.79-2.83, 2 Ir 2.84, 2 Hg 3.05
Hg 0.0000 0.5000 0.2712  6 Hg 2.79-2.83, 2 Ir 2.94, 2 Ag 3.05
Hg 0.5000 0.0000 0.2712  6 Hg 2.79-2.83, 2 Ir 2.94, 2 Ag 3.05
Ir 0.0000 0.0000 0.5302  8 Ir 2.62-2.83
Ir 0.0000 0.5000 0.7524  8 Ir 2.62-2.83, 2 Ag 2.84
Ir 0.5000 0.0000 0.7524  8 Ir 2.62-2.83, 2 Ag 2.84
Ir 0.5000 0.5000 0.5302  8 Ir 2.62-2.83

Entry 2:
Lu2ZnSb | GGA-PBE | optimized geometry

Computed properties:
VASP energy in eV per atom: -4.126
E_form (uncorrected) in meV/atom: -517
Energy above the lowest structure with this stoichiometry in eV/atom: 0.000
Density in Mg/m³: 9.43
Fermi-level density of states in states/eV/f.u.: 3.10

a = 3.7829 Å, b = 3.7829 Å, c = 6.6087 Å
α = 90.00°, β = 90.00°, γ = 90.00°
With the nearest neighbours (Å) after each atom.
Positions (direct):
Lu 0.0000 0.0000 0.2459  4 Zn 3.13, 4 Sb 3.16, 2 Lu 3.25-3.36
Lu 0.0000 0.0000 0.7541  4 Zn 3.13, 4 Sb 3.16, 2 Lu 3.25-3.36
Zn 0.5000 0.5000 0.0000  8 Lu 3.13, 2 Sb 3.30
Sb 0.5000 0.5000 0.5000  8 Lu 3.16, 2 Zn 3.30

Entry 3:
Ho4B5C2 | GGA-PBE | optimized geometry

Computed properties:
Formation enthalpy at 0 K in eV/atom: -0.237
VASP energy in eV per atom: -6.614
Density in Mg/m³: 8.00
Fermi-level density of states in states/eV/f.u.: 3.65

a = 6.5325 Å, b = 3.5965 Å, c = 6.5514 Å
α = 90.00°, β = 95.84°, γ = 90.00°
With the nearest neighbours (Å) after each atom.
Positions (direct):
Ho 0.0761 0.0000 0.2651  4 B 2.49-2.60, 4 C 2.53-2.62
Ho 0.3957 0.0000 0.7258  8 B 2.58-2.80, 2 C 2.75
Ho 0.6043 0.0000 0.2742  8 B 2.58-2.80, 2 C 2.75
Ho 0.9239 0.0000 0.7349  4 B 2.49-2.60, 4 C 2.53-2.62
B 0.3152 0.5000 0.4039  1 C 1.63, 1 B 1.69
B 0.3268 0.5000 0.1476  2 B 1.56-1.69
B 0.5000 0.5000 0.0000  2 B 1.56
B 0.6732 0.5000 0.8524  2 B 1.56-1.69
B 0.6848 0.5000 0.5961  1 C 1.63, 1 B 1.69
C 0.1193 0.5000 0.5386  1 C 1.59, 1 B 1.63
C 0.8807 0.5000 0.4614  1 C 1.59, 1 B 1.63

Entry 4:
Cs8TeAu2 | GGA-PBE | optimized geometry

Computed properties:
VASP energy in eV per atom: -1.833
E_form (uncorrected) in meV/atom: -331
Density in Mg/m³: 2.81
Fermi-level density of states in states/eV/f.u.: 6.05

a = 9.4402 Å, b = 10.7069 Å, c = 10.7088 Å
α = 119.96°, β = 90.01°, γ = 90.02°
With the nearest neighbours (Å) after each atom.
Positions (direct):
Cs 0.1742 0.3334 0.1664  1 Au 3.55
Cs 0.2725 0.8365 0.6632  1 Au 3.57, 1 Te 3.71
Cs 0.2727 0.3267 0.6625  1 Au 3.57, 1 Te 3.71
Cs 0.2731 0.8365 0.1729  1 Au 3.57, 1 Te 3.71
Cs 0.7269 0.1635 0.8271  1 Au 3.57, 1 Te 3.71
Cs 0.7273 0.6733 0.3375  1 Au 3.57, 1 Te 3.71
*/
Make sense to the student without struggling (comprehension)
When these criteria are met, students are best able to build their fluency, vocabulary and comprehension because they are not struggling with the text.
Grade 3 students begin to look at literature more critically by learning to distinguish between fiction and non-fiction, and to recognize and understand different types of fiction such as, realistic fiction, historical fiction, mystery, fantasy, plays and poetry. They study different types of non-fiction as well, including biographies and informational articles.
The writing program in the Lower School is based on the Writer’s Workshop approach, which is centered on research supporting the idea that children learn to write more readily when their writing is purposeful and directed toward a real audience. Teachers begin with mini lessons to give children a powerful model for the genre in practice. The writing program encourages children to see themselves seriously as writers and to gain confidence in their own writing as an effective form of communication. Children also engage in editing and working together, benefiting from other children's questions and comments, as they begin to use rubrics to evaluate and improve their writing.
Grade 3 writing program includes:
Narrative: Crafting True Stories
Informational: The Art of Informational Writing
Opinion writing: Changing the World
A variety of multi-level word study activities that help students become fluent decoders and spellers form the basis of the spelling program. Word study focuses on high frequency words, common spelling patterns, words misspelled in children's writing and words drawn from all subject areas.
The lower school math program is based on the Common Core Mathematics Standards, which call for students to develop conceptual understanding and skill proficiency in number, operations, measurement and geometry, through engaging problems and activities. Students are presented with lessons that provide learning experiences toward meeting grade-level math standards, and problems to solve in a small group and independently. Throughout the year, parents receive information about the mathematical content studied in each unit. Grade-level math standards can be referenced for more detail, but instructional time focuses on these four critical areas:
Operations and algebraic thinking
Represent and solve problems involving multiplication and division
Understand the properties of multiplication and the relationship between multiplication and division
Fluently multiply and divide within 100. (By the end of Grade 3, know all products of two one-digit numbers by memory)
Solve problems involving the four operations and identify and explain patterns in arithmetic.
Number and operations in base ten
Use place value understanding and properties of operations to perform multi-digit arithmetic, including fluently adding and subtracting within 1,000 using various strategies, understanding the concept and vocabulary of fractions, and multiplying any one-digit whole number by a multiple of 10 in the range of 10-90
Measurement and data
Solve problems involving measurement and estimations of time, liquid volumes, and masses of objects
Represent and interpret data from tables, graphs and maps
Understand concepts of perimeter and area; know the difference between, and relate area to, multiplication and addition
Understand that shapes in different categories may have shared attributes with a focus on quadrilaterals
Social studies
The Grade 3 social studies curriculum seeks to foster students' wonder and curiosity, while building research skills that will enable them to pursue their interests about the world. At the beginning of the year, students learn about culture and how the cultural diversity of each member contributes to the classroom community.
Students then engage in a geography focused unit called the Stories That Maps Tell. Students analyze different types of maps and infographics to uncover the stories that maps tell and build explanations as to why different maps look different.
In the second part of the year, Grade 3 students study London and Its History through the Victorian era. They are introduced to the discipline of historical research and develop skills in perspective taking. Students examine the changes in the way people lived and worked that came about from the discovery of steam power and the Industrial Revolution. Through discussions, readings and observations of primary sources, students explore some of the causes and consequences of societal change during this era. With growing capability to grasp abstract concepts and use secondary research methods to find information, students learn to read more effectively for information and to search a variety of sources including books, reference materials, and the Internet to find answers to their research questions. In addition to these search techniques, students learn to pose research questions, narrow or broaden a topic of inquiry, take and sort notes, and develop strategies for writing informative reports.
Grade 3 students receive three lessons each eight-day cycle, taught by the lower school science specialist. The pedagogy, materials and lessons are based on the Next Generation Science Standards and center on students creating their understanding from investigations of phenomena. Our science program uses an integrated approach connecting concepts through practices and cross-cutting themes such as patterns, systems, and cause and effect. The Grade 3 curriculum has an emphasis on forces, traits and environment, weather and climate. Woven throughout these units are opportunities for inquiry and authentic discovery. Building upon curiosity and a natural tendency towards exploration and experimentation, Grade 3 students begin to devise test situations and plan investigations to prove or disprove their claims.
In the first semester, students make observations and collect quantitative data on the characteristics of forces and their interactions. The properties of magnetic forces are explored, while design solutions are defined using magnets to solve a problem. In applying their understanding, students follow a design process to create a moving toy that is tested and revised to roll effectively. In the next unit, students develop models describing the characteristics of all organism life cycles and use evidence to support the explanation that traits can be influenced by the environment.
In the second semester, the students extend their understanding of life sciences through a consideration of ecosystem change. Using evidence, students construct an argument for why some organisms within a habitat can survive better than others. Interpreting data from fossils allows students to provide evidence of the organisms and the environments in which they lived long ago. The focus then moves to weather and climate. Exploring the system of weather, students investigate the concepts of air and atmosphere, phase change, the water cycle and weather patterns. Through an analysis of local weather data, students make predictions about future conditions and differences between weather and climate are defined. The final project integrates second-semester understanding into a student-designed digital ecosystem based on bird populations in the Galapagos Islands.